Josh The Cannabis Columnist

Please stop calling your sex worker “my blue pill”. His name is Steve, and you still owe him $300.

FWIW, I’m really proud of you. 

“It is important for us to let folks know we are a 21st century Alabama, that we’re not the same Alabama of 1901 that didn’t want Black and white folks to get married, that didn’t think that Black and white children should go to school together,” she said.

Data records that have nothing to do with the entry:
........
Here is a structure of composition C18H29N2O2P2Zr at a distorted geometry from the OMol25 dataset. Energies are from ωB97M-V with the def2-TZVPD basis set.

Computed properties:
Multiplicity: 1
Gap between HOMO and LUMO (alpha / beta) (eV): 5.60 / 5.36
Energy relative to the best compared isomer or geometry (same formula, charge and spin) (kcal per mole): 0.0
LUMO level (alpha / beta) (eV): -3.26 / -3.30
Total charge: +1
HOMO level (alpha / beta) (eV): -8.9 / -8.7

Geometry as XYZ:
```
54
Properties=species:S:1:pos:R:3:forces:R:3
O 0.98429 -1.54547 -1.94469 0.81 -0.29 -1.08
H 1.46163 -1.98204 -2.65107 -0.13 0.04 0.08
C 1.28924 2.61693 -1.23568 -0.30 -0.17 -0.19
H -0.45603 -2.58496 -0.95972 -1.39 0.64 1.75
C -0.33387 -1.69543 3.09960 1.16 -0.57 0.07
H 1.25501 -3.97627 1.09692 0.04 -0.18 0.45
H -0.34492 -4.34838 5.13788 0.07 0.19 -0.32
H 4.34804 0.64684 1.82065 -0.31 0.14 0.18
H 2.87190 -0.11448 2.51008 0.14 0.19 -0.07
H -1.81186 -1.79172 -6.18369 0.02 -0.12 -0.09
C -2.98216 0.75883 1.38365 -0.08 -0.17 0.43
H 0.77065 -5.36164 3.19894 -0.08 0.38 -0.03
H -1.96660 3.89552 -2.84040 0.31 0.07 0.11
C -1.04105 2.43916 -1.59239 0.40 -0.20 -0.13
P -2.29660 0.25050 -0.22280 -0.32 0.75 -0.28
P 2.58910 0.47511 0.21244 -0.14 0.68 -1.49
C -2.37794 1.86495 -1.15208 0.23 0.02 0.53
C 3.25078 0.69209 1.87039 0.06 -0.07 0.38
H 2.27023 4.30648 -2.06670 -0.21 0.02 -0.08
H -0.02391 0.41711 3.15995 0.22 -0.36 -0.12
O -2.54246 -1.72966 -5.56167 0.04 0.80 0.29
H -0.85769 -2.26981 -0.30411 0.72 -1.17 -1.55
C 0.17638 4.22267 -2.63623 -0.05 -0.26 0.10
C -1.02351 3.55663 -2.41277 -0.07 0.19 0.00
H 4.87522 0.27820 -0.48300 -0.06 -0.25 -0.15
H -2.60567 0.09219 2.16554 -0.10 0.16 -0.14
H -3.74652 -1.65574 -0.46842 -0.02 0.20 -0.12
C -0.58145 -2.37645 4.24525 -0.43 -0.46 0.46
C 0.75068 -3.56987 1.97644 -0.05 -0.31 -0.33
H 0.20835 5.09258 -3.28213 0.01 -0.04 0.08
C 1.32551 3.77645 -1.99093 0.12 0.15 -0.07
H 2.69507 2.84485 0.39019 -0.18 0.20 -0.51
H 2.92413 1.66272 2.26772 0.14 -0.34 0.04
H -4.07916 0.72165 1.36009 0.24 0.10 -0.08
C 2.53098 2.18329 -0.47753 0.82 0.43 0.07
H 4.06420 -1.32479 -0.41865 0.03 0.29 -0.12
H -3.02924 1.74960 -2.00362 -0.26 0.02 -0.37
H -2.58702 -0.77693 -5.35554 -0.05 -0.67 -0.20
C 0.48468 -0.92451 1.42014 -2.03 0.24 -0.96
C 3.95586 -0.27351 -0.72015 0.34 -0.10 0.02
H 3.41253 2.28363 -1.12810 -0.24 0.29 0.14
H -2.86478 2.57984 -0.46146 0.24 -0.03 -0.51
H -2.65791 1.77923 1.61773 -0.01 -0.25 0.04
H -3.46786 -0.84947 -2.03061 -0.08 -0.04 0.25
H -1.07442 -1.90271 5.09418 0.21 -0.27 -0.02
C -3.66651 -0.68045 -0.96426 -0.08 -0.26 -0.23
H 3.75993 -0.22729 -1.79990 -0.01 -0.04 0.35
C 0.34812 -2.26121 1.98396 -0.10 0.81 1.34
C -0.16516 -3.74162 4.24778 -0.10 0.31 -0.17
C 0.47646 -4.30989 3.14692 -0.16 -0.26 0.02
N 0.13453 1.89565 -1.15344 -0.27 0.94 0.84
Zr 0.28896 -0.30167 -0.64963 0.53 -1.38 1.89
N -0.30814 -0.37427 2.58857 0.19 0.13 -0.44
H -4.60999 -0.13242 -0.84365 0.22 -0.15 -0.05
```
Forces are in eV/Å.
........
End of the data records:

I think the solution to having a $24M surgically attached diamond ripped from your forehead is to add a surgically attached safe for the diamond. Will having a safe that I imagine weighs a few hundred pounds surgically attached to your forehead result in issues? I’m not a forehead safe surgeon, so I can’t say. I’m a

Hey! I for one would like to hear more from Poory Poor, and his trials and tribulations. Said in a patois because sure why not. 

Portland Oregon here, I think our Syrup choice is on spot, and probably contains weed. 

At present, 58 USD per large order

Some of this AI’s best friends are Black, btw.

Chuck Netflix, of the Connecticut Netflixs.

There are dozens or more great albums by artists who don’t support Trump, and aren’t egomaniacal fuckcakes. How Donda ended up on this list is a mystery, you gave it a C-. Don’t listen to this dumpster fire, seek out something which doesn’t suck rocks. Remember, unlike the AV Club, you don’t need to listen to garbage

I was told they would be doing the soundtrack for MamaMia2:ElectricMamalou

The only way to settle this is to capture, kill and dissect the purple beast, preferably live on a children’s show. It worked with Barney. 

Actually he’s going to be digitally inserted as the host of Reading Rainbow.

Arbys - We have the Oily Puppy Meats! 

For those of you with issues getting to sleep, Showtime has the answer. 

This. His story makes me incredibly sad. I hope his friends and family find some small comfort and peace from this news. 

You know why the Hamburglar hasn’t been seen in any McD’s ad campaigns in years? Because he was slowly tortured and killed by Grimace, who is currently doing life without parole for the crime. That’s why. Don’t fuck with hamburgers, or a 400 pound purple monster.

Unlike most vagina shaped carrots?

I’ve never seen this, what’s the show about? 

I’m really sad that it took the AV so long to actually acknowledge his passing, and it’s not even front page worthy. But the shite cocksucker who was the host, then not the host of Jeopardy, got “breaking news” and the front page. Get your fucking priorities straight.